## Contents
'''
A cluster of 2 separate species, C20H34NO3PS in total. Source: the OMol25 dataset; level of theory: ωB97M-V/def2-TZVPD.

Computed properties:
Multiplicity: 1
E_HOMO: -6.8 eV
Structure (SMILES): Cc1ccc(S(=O)(=O)N=C=O)cc1.CCCCP(CCCC)CCCC
LUMO level: -0.844 eV
M: 399.5 u
Total charge: 0
Gap between HOMO and LUMO: 5.96 eV

XYZ file:
```
60
Properties=species:S:1:pos:R:3:forces:R:3
C -2.659275 -3.166274 -2.692707 0.1 -0.1 0.1
C -1.399535 -3.144756 -1.820240 -0.3 -0.1 -0.1
C -0.632116 -1.840942 -1.966350 0.1 -0.1 0.2
C 0.701165 -1.813034 -1.206738 0.8 0.8 -0.1
P 0.535683 -1.818342 0.607684 -2.2 -2.4 1.0
C 2.029068 -2.214960 1.573489 0.7 0.3 -0.4
C 2.164537 -3.660687 2.083238 -0.1 0.2 -0.1
C 1.166924 -4.058060 3.161979 0.0 -0.1 0.0
C 1.475126 -5.424555 3.772633 -0.1 0.1 0.0
C -0.387996 -0.363511 1.206720 0.6 1.0 -0.4
C -0.676218 -0.331005 2.710942 -0.1 -0.2 -0.3
C -0.967558 1.091750 3.178358 0.1 0.0 0.0
C 0.241099 2.029193 3.125377 0.0 0.1 0.0
H -3.142732 -4.148060 -2.647290 0.0 0.2 0.0
H -3.385100 -2.415000 -2.357483 0.1 -0.1 -0.1
H -2.411435 -2.957729 -3.741140 -0.1 0.0 0.2
H -1.672706 -3.303021 -0.768930 0.1 0.0 -0.2
H -0.745092 -3.977238 -2.107007 0.0 0.1 0.1
H -0.398334 -1.680016 -3.024626 -0.1 0.0 0.0
H -1.270332 -1.004251 -1.652673 0.1 0.0 0.0
H 1.305127 -2.704072 -1.455344 -0.2 0.4 0.0
H 1.248546 -0.901069 -1.479760 -0.1 -0.6 -0.6
H 2.877224 -1.980739 0.911223 -0.1 -0.2 0.7
H 2.037990 -1.515471 2.431020 0.2 -0.2 -0.4
H 2.101776 -4.365589 1.244481 0.0 0.1 0.0
H 3.179437 -3.747362 2.488981 0.0 -0.1 0.0
H 1.177361 -3.298313 3.952316 0.0 0.0 0.0
H 0.155876 -4.062479 2.738740 0.1 0.1 0.1
H 0.782508 -5.641647 4.588612 0.0 -0.1 0.0
H 1.380163 -6.225345 3.033486 0.0 0.1 0.0
H 2.490371 -5.458030 4.179684 -0.1 0.0 0.0
H 0.213992 0.509480 0.913314 -1.1 -0.1 0.5
H -1.337196 -0.323317 0.635614 0.5 0.0 0.2
H -1.551585 -0.958786 2.910164 0.2 -0.1 0.1
H 0.162173 -0.751810 3.280897 -0.1 0.1 0.0
H -1.769381 1.504645 2.555939 0.0 0.0 0.1
H -1.345618 1.042078 4.203132 0.0 0.1 0.0
H -0.013645 2.994366 3.576799 0.1 -0.1 -0.1
H 1.090811 1.611120 3.679628 -0.1 0.1 -0.1
H 0.571414 2.224170 2.097120 -0.1 -0.1 0.2
C -2.974211 5.744729 -3.123000 -0.2 0.1 -0.1
C -1.689790 5.026337 -2.832288 0.4 -0.1 0.3
C -1.419719 3.801745 -3.445966 0.5 -0.3 0.0
C -0.259069 3.081842 -3.146348 -0.2 0.0 0.2
C 0.629855 3.577341 -2.185676 -0.4 -0.4 0.1
S 2.068211 2.599051 -1.712726 0.7 -0.8 0.2
N 1.465909 1.249298 -0.478284 0.5 1.2 -1.2
C 2.301251 0.454628 -0.038716 3.2 1.1 -0.2
O 3.294888 -0.099414 0.331854 -2.5 1.2 -0.9
O 2.507276 1.849603 -2.864754 -0.5 0.4 0.9
O 2.980680 3.466228 -1.009177 -0.9 -0.8 -0.2
C 0.417558 4.836945 -1.628048 0.0 0.1 0.4
C -0.741262 5.553950 -1.943679 0.1 -0.4 -0.3
H -3.032592 6.681940 -2.566864 0.0 -0.1 -0.1
H -3.071263 5.971212 -4.190559 0.1 0.0 0.1
H -3.839626 5.130623 -2.847944 0.2 0.1 0.0
H -2.135266 3.400155 -4.166158 0.3 0.1 0.2
H -0.052702 2.137973 -3.642601 -0.1 0.1 0.1
H 1.150780 5.257445 -0.938558 -0.2 -0.2 -0.1
H -0.923421 6.527037 -1.491788 0.1 -0.2 -0.1
```
Positions in Å, forces in eV/Å.

A cluster of 6 separate species, C20H35B3O16P2 in total. Source: the OMol25 dataset; level of theory: ωB97M-V/def2-TZVPD.

Computed properties:
Multiplicity: 1
E_HOMO: -9.1 eV
Structure (SMILES): O=[PH2]B1OBOB(P(O)O)O1.O=C1CCCO1.O=C1CCCO1.O=C1CCCO1.O=C1CCCO1.O=C1CCCO1
LUMO level: 0.055 eV
M: 625.9 u
Total charge: 0
Gap between HOMO and LUMO: 9.19 eV

XYZ file:
```
76
Properties=species:S:1:pos:R:3:forces:R:3
O 1.184672 3.829875 5.203094 -0.1 0.0 0.0
P 0.364387 2.945057 6.077174 0.4 0.2 -0.2
B 1.160718 1.180536 6.361360 0.6 -0.1 0.0
O 1.504660 0.730364 7.618726 -0.8 0.1 0.3
B 1.085074 -0.549366 7.927502 0.4 -0.1 -0.2
O 0.735102 -1.393897 6.888578 -0.4 0.0 0.0
B 0.755645 -0.950216 5.576442 0.4 -0.1 0.2
P -0.075135 -2.032962 4.173126 0.1 -0.2 -0.2
O 0.583596 -1.349506 2.833032 0.0 0.2 0.1
O 0.802618 -3.440808 4.355441 -0.1 0.1 0.3
O 1.311029 0.285311 5.323858 -0.7 0.2 -0.3
H -0.949695 2.661105 5.666045 0.0 0.0 0.1
'''
## Exercise
What is needed: retype all of the contents above with every line break kept.
## Solution
A cluster of 2 separate species, C20H34NO3PS in total. Source: the OMol25 dataset; level of theory: ωB97M-V/def2-TZVPD.

Computed properties:
Multiplicity: 1
E_HOMO: -6.8 eV
Structure (SMILES): Cc1ccc(S(=O)(=O)N=C=O)cc1.CCCCP(CCCC)CCCC
LUMO level: -0.844 eV
M: 399.5 u
Total charge: 0
Gap between HOMO and LUMO: 5.96 eV

XYZ file:
```
60
Properties=species:S:1:pos:R:3:forces:R:3
C -2.659275 -3.166274 -2.692707 0.1 -0.1 0.1
C -1.399535 -3.144756 -1.820240 -0.3 -0.1 -0.1
C -0.632116 -1.840942 -1.966350 0.1 -0.1 0.2
C 0.701165 -1.813034 -1.206738 0.8 0.8 -0.1
P 0.535683 -1.818342 0.607684 -2.2 -2.4 1.0
C 2.029068 -2.214960 1.573489 0.7 0.3 -0.4
C 2.164537 -3.660687 2.083238 -0.1 0.2 -0.1
C 1.166924 -4.058060 3.161979 0.0 -0.1 0.0
C 1.475126 -5.424555 3.772633 -0.1 0.1 0.0
C -0.387996 -0.363511 1.206720 0.6 1.0 -0.4
C -0.676218 -0.331005 2.710942 -0.1 -0.2 -0.3
C -0.967558 1.091750 3.178358 0.1 0.0 0.0
C 0.241099 2.029193 3.125377 0.0 0.1 0.0
H -3.142732 -4.148060 -2.647290 0.0 0.2 0.0
H -3.385100 -2.415000 -2.357483 0.1 -0.1 -0.1
H -2.411435 -2.957729 -3.741140 -0.1 0.0 0.2
H -1.672706 -3.303021 -0.768930 0.1 0.0 -0.2
H -0.745092 -3.977238 -2.107007 0.0 0.1 0.1
H -0.398334 -1.680016 -3.024626 -0.1 0.0 0.0
H -1.270332 -1.004251 -1.652673 0.1 0.0 0.0
H 1.305127 -2.704072 -1.455344 -0.2 0.4 0.0
H 1.248546 -0.901069 -1.479760 -0.1 -0.6 -0.6
H 2.877224 -1.980739 0.911223 -0.1 -0.2 0.7
H 2.037990 -1.515471 2.431020 0.2 -0.2 -0.4
H 2.101776 -4.365589 1.244481 0.0 0.1 0.0
H 3.179437 -3.747362 2.488981 0.0 -0.1 0.0
H 1.177361 -3.298313 3.952316 0.0 0.0 0.0
H 0.155876 -4.062479 2.738740 0.1 0.1 0.1
H 0.782508 -5.641647 4.588612 0.0 -0.1 0.0
H 1.380163 -6.225345 3.033486 0.0 0.1 0.0
H 2.490371 -5.458030 4.179684 -0.1 0.0 0.0
H 0.213992 0.509480 0.913314 -1.1 -0.1 0.5
H -1.337196 -0.323317 0.635614 0.5 0.0 0.2
H -1.551585 -0.958786 2.910164 0.2 -0.1 0.1
H 0.162173 -0.751810 3.280897 -0.1 0.1 0.0
H -1.769381 1.504645 2.555939 0.0 0.0 0.1
H -1.345618 1.042078 4.203132 0.0 0.1 0.0
H -0.013645 2.994366 3.576799 0.1 -0.1 -0.1
H 1.090811 1.611120 3.679628 -0.1 0.1 -0.1
H 0.571414 2.224170 2.097120 -0.1 -0.1 0.2
C -2.974211 5.744729 -3.123000 -0.2 0.1 -0.1
C -1.689790 5.026337 -2.832288 0.4 -0.1 0.3
C -1.419719 3.801745 -3.445966 0.5 -0.3 0.0
C -0.259069 3.081842 -3.146348 -0.2 0.0 0.2
C 0.629855 3.577341 -2.185676 -0.4 -0.4 0.1
S 2.068211 2.599051 -1.712726 0.7 -0.8 0.2
N 1.465909 1.249298 -0.478284 0.5 1.2 -1.2
C 2.301251 0.454628 -0.038716 3.2 1.1 -0.2
O 3.294888 -0.099414 0.331854 -2.5 1.2 -0.9
O 2.507276 1.849603 -2.864754 -0.5 0.4 0.9
O 2.980680 3.466228 -1.009177 -0.9 -0.8 -0.2
C 0.417558 4.836945 -1.628048 0.0 0.1 0.4
C -0.741262 5.553950 -1.943679 0.1 -0.4 -0.3
H -3.032592 6.681940 -2.566864 0.0 -0.1 -0.1
H -3.071263 5.971212 -4.190559 0.1 0.0 0.1
H -3.839626 5.130623 -2.847944 0.2 0.1 0.0
H -2.135266 3.400155 -4.166158 0.3 0.1 0.2
H -0.052702 2.137973 -3.642601 -0.1 0.1 0.1
H 1.150780 5.257445 -0.938558 -0.2 -0.2 -0.1
H -0.923421 6.527037 -1.491788 0.1 -0.2 -0.1
```
Positions in Å, forces in eV/Å.

A cluster of 6 separate species, C20H35B3O16P2 in total. Source: the OMol25 dataset; level of theory: ωB97M-V/def2-TZVPD.

Computed properties:
Multiplicity: 1
E_HOMO: -9.1 eV
Structure (SMILES): O=[PH2]B1OBOB(P(O)O)O1.O=C1CCCO1.O=C1CCCO1.O=C1CCCO1.O=C1CCCO1.O=C1CCCO1
LUMO level: 0.055 eV
M: 625.9 u
Total charge: 0
Gap between HOMO and LUMO: 9.19 eV

XYZ file:
```
76
Properties=species:S:1:pos:R:3:forces:R:3
O 1.184672 3.829875 5.203094 -0.1 0.0 0.0
P 0.364387 2.945057 6.077174 0.4 0.2 -0.2
B 1.160718 1.180536 6.361360 0.6 -0.1 0.0
O 1.504660 0.730364 7.618726 -0.8 0.1 0.3
B 1.085074 -0.549366 7.927502 0.4 -0.1 -0.2
O 0.735102 -1.393897 6.888578 -0.4 0.0 0.0
B 0.755645 -0.950216 5.576442 0.4 -0.1 0.2
P -0.075135 -2.032962 4.173126 0.1 -0.2 -0.2
O 0.583596 -1.349506 2.833032 0.0 0.2 0.1
O 0.802618 -3.440808 4.355441 -0.1 0.1 0.3
O 1.311029 0.285311 5.323858 -0.7 0.2 -0.3
H -0.949695 2.661105 5.666045 0.0 0.0 0.1